What Your Child Should Be Learning in PreK
During the preschool years, kids are like sponges, learning new skills daily. As a result, enrolling your brain-ready youngster in preschool is a good move. Furthermore, several studies have found that children who attend preschool have a head start on their peers when they enter elementary school.
According to the USDOE, “Studies also show that involvement in high-quality early learning can enhance kids’ educational performance and incomes later in life.” Kids who attend high-quality preschool programs are less likely to use special education services or be retained in their grades, and they are more likely to graduate from high school, continue to college, and succeed in life and their careers than those who do not attend high-quality preschool programs.”
However, not all preschool programs are of high quality. As a result, it is essential to select a preschool program where your child will gain the necessary skills for future school success. Let’s look at the most critical preschool skills your child should be learning.
- Make a Friend
Preschool is the time when a youngster learns how to be a good friend. Preschool is often one of the first key social encounters for many children. Children will learn to share and take turns with one another. Your youngster should also start engaging in imaginative play with others. During their first year of school, children learn to be kind to one another and to deal with disagreements.
- An Overview of Numbers
Preschoolers will also start counting. Because these are early counting abilities, you should only anticipate your youngster to be able to count to 10. However, this also means that your youngster will learn to count items rather than simply repeating the numbers one through ten.
- - -
Density functional theory data (GGA-PBEsol) for a relaxed Na2W2O7 crystal.

Geometry as CIF:
```
data_Na2W2O7
_chemical_formula_sum 'Na8 W8 O28'
_cell_length_a 3.815
_cell_length_b 26.796
_cell_length_c 5.448
_cell_angle_alpha 90.00
_cell_angle_beta 90.00
_cell_angle_gamma 90.00
_space_group_name_H-M_alt 'C m c 21'
_space_group_IT_number 36
_space_group_name_Hall 'C 2c -2'
loop_
_atom_site_label
_atom_site_type_symbol
_atom_site_fract_x
_atom_site_fract_y
_atom_site_fract_z
Na1 Na 0.000 0.052 0.000
Na2 Na 0.000 0.216 0.463
W1 W 0.000 0.341 0.485
W2 W 0.000 0.446 0.998
O1 O 0.000 0.047 0.505
O2 O 0.000 0.147 0.000
O3 O 0.000 0.291 0.698
O4 O 0.000 0.306 0.211
O5 O 0.000 0.394 0.790
O6 O 0.000 0.409 0.289
O7 O 0.000 0.492 0.721
```

The relative energy among the computed polymorphs is 0.0 meV/atom. The raw total energy is -8.240 eV per atom. The uncorrected formation energy comes out at -2265 kJ/mol of formula units.

Density functional theory data (GGA-PBEsol) for a relaxed Dy2Co2I crystal.

Geometry as CIF:
```
data_Dy2Co2I
_chemical_formula_sum 'Dy4 Co4 I2'
_cell_length_a 3.8673
_cell_length_b 3.8673
_cell_length_c 16.5946
_cell_angle_alpha 90.00
_cell_angle_beta 90.00
_cell_angle_gamma 120.00
_space_group_name_H-M_alt 'P 63/m m c'
_space_group_IT_number 194
_space_group_name_Hall '-P 6c 2c'
loop_
_atom_site_label
_atom_site_type_symbol
_atom_site_fract_x
_atom_site_fract_y
_atom_site_fract_z
Dy1 Dy 0.0000 0.0000 0.1047
Co1 Co 0.3333 0.6667 0.0014
I1 I 0.3333 0.6667 0.7500
```

The raw total energy is -6.067 eV per atom. The uncorrected formation energy comes out at -303 kJ/mol of formula units.
- - -
- An Overview of Colors and Shapes
During the preschool year, your child should have mastered the primary colors and shapes. Preschool teachers will work hard to help children differentiate between the colors of the rainbow and the forms in the classroom.
- Letters: An Introduction
Your child will be introduced to letters at a four-year-old preschool. Your youngster should learn to say and recognize the letters of the alphabet. Your youngster may even be able to spell their name by the end of the school year. Encourage your youngster to notice letters throughout the day and in your home to help them master the alphabet. Books like Chicka Chicka Boom Boom are also excellent for reinforcing this ability.
[Unrelated to this text: data records]
=====
Ac5La6Tb2 | PBE | optimized geometry

Results
Final energy, Ry per atom: -0.329
Energy of formation from the pure elements, eV/atom: 0.09
DOS(E_F), states/eV per atom: 1.31

Lattice parameters (Å, degrees): 12.1018 22.3321 3.8267 90.00 90.00 90.00
Space group Pbam (No. 55)
One atom of each set of equivalent atoms:
Ac 0.0000 0.0000 0.0000 [2 per cell]
Ac 0.0526 0.2900 0.0000 [4 per cell]
Ac 0.1918 0.5800 0.0000 [4 per cell]
La 0.0571 0.1447 0.5000 [4 per cell]
La 0.0860 0.4379 0.5000 [4 per cell]
La 0.1867 0.8697 0.0000 [4 per cell]
Tb 0.2065 0.7323 0.5000 [4 per cell]


PBE-GGA LiSc2Br, optimized geometry; crystal system = monoclinic; raw formation energy = -1.642 eV per formula unit; uncorrected energy = -4.473 eV/atom; energy above the most stable polymorph in this dataset = 13 meV per atom; SG = Pm
1.0
3.374 0.000 0.000
0.000 3.353 0.000
-1.559 0.000 8.572
Li Sc Br
1 2 1
Cartesian
0.000 0.000 0.000 Li
0.113 1.676 6.159 Sc
1.801 0.000 4.000 Sc
0.111 1.676 2.182 Br



PBE-GGA KPuGeO5, optimized geometry; crystal system = monoclinic; raw formation energy = -17.812 eV per formula unit; uncorrected energy = -7.831 eV/atom; SG = C2/c
1.0
3.683 -4.853 0.000
3.683 4.853 0.000
-3.359 0.000 7.199
K Pu Ge O
2 2 2 10
Cartesian
1.163 3.228 5.399 K
2.843 -3.228 1.800 K
3.683 0.000 0.000 Pu
2.003 0.000 3.599 Pu
2.843 3.033 1.800 Ge
1.163 -3.033 5.399 Ge
-1.592 0.720 6.457 O
1.744 2.013 2.776 O
0.088 -0.720 2.857 O
3.942 2.013 0.824 O
1.163 0.585 5.399 O
2.843 -0.585 1.800 O
0.064 -2.013 6.375 O
3.918 0.720 4.341 O
2.263 -2.013 4.423 O
5.598 -0.720 0.742 O



PBE-GGA Ca2YBr, optimized geometry; crystal system = monoclinic; raw formation energy = -2.374 eV per formula unit; uncorrected energy = -3.629 eV/atom; energy above the most stable polymorph in this dataset = 47 meV per atom; SG = P2/m
1.0
3.835 0.000 0.000
0.000 3.702 0.000
-0.083 0.000 10.093
Ca Y Br
2 1 1
Cartesian
-0.002 0.000 2.645 Ca
3.755 0.000 7.448 Ca
1.918 1.851 0.000 Y
-0.041 1.851 5.046 Br



PBE-GGA RbAsI2N, optimized geometry; crystal system = tetragonal; raw formation energy = 0.062 eV per formula unit; uncorrected energy = -3.396 eV/atom; energy above the most stable polymorph in this dataset = 0 meV per atom; SG = P4/mmm
1.0
6.539 0.000 0.000
0.000 6.539 0.000
0.000 0.000 3.704
Rb As I N
1 1 2 1
Cartesian
0.000 0.000 0.000 Rb
3.270 3.270 1.852 As
0.000 3.270 1.852 I
3.270 0.000 1.852 I
3.270 3.270 0.000 N



PBE-GGA CeAlNi4, optimized geometry; calculated formation energy = -0.345 eV per atom; crystal system = orthorhombic; uncorrected energy = -5.812 eV/atom; SG = Pmma
1.0
7.099 0.000 0.000
0.000 3.700 0.000
0.000 0.000 6.606
Ce Al Ni
2 2 8
Cartesian
1.775 0.000 1.050 Ce
5.324 0.000 5.556 Ce
1.775 0.000 4.757 Al
5.324 0.000 1.849 Al
0.000 0.000 3.303 Ni
0.281 1.850 5.250 Ni
1.775 1.850 3.106 Ni
3.268 1.850 5.250 Ni
3.549 0.000 3.303 Ni
3.831 1.850 1.357 Ni
5.324 1.850 3.500 Ni
6.817 1.850 1.357 Ni
=====
[End of the data records]
- Utilize Writing Instruments
Many preschool parents are surprised to learn that their children will be expected to use writing tools by the end of the school year. If scissors are forbidden in your home, you may be surprised to hear that preschool educators are testing your child’s fine motor abilities when it comes to cutting. Furthermore, while your child will be scribbling for the majority of the year, you should expect your child to start learning to draw circles and write some letters.
As you seek a high-quality preschool, keep in mind that research has shown that children of this age learn best via play. While the aforementioned abilities must be taught, they must be taught joyfully and playfully.